A Caralluma Fimbriata 1200mg – 180 Cápsulas da aSquared Nutrition é um suplemento natural de perda de peso que oferece uma solução eficaz e segura para quem busca emagrecer de forma saudável. Com uma fórmula concentrada e potente, este produto é uma excelente opção para suprimir o apetite, aumentar a energia e melhorar o metabolismo.
Com 180 cápsulas por frasco, você terá um suprimento completo para 3 meses de uso, o que representa um excelente custo-benefício em comparação com outros produtos disponíveis no mercado. Além disso, nossa fórmula é testada quanto à potência e pureza, garantindo a máxima qualidade.
A Caralluma Fimbriata é uma planta suculenta (cacto) que tem sido utilizada há séculos na Índia. Ela é conhecida por sua capacidade de aumentar a resistência e a energia, sem causar os efeitos colaterais indesejados de outros suplementos. Ao ingerir a Caralluma, você estará combatendo a fadiga e mantendo seu corpo em pleno funcionamento.
Nossa formulação é 100% pura e concentrada, com 1200mg de Caralluma Fimbriata por porção diária (2 cápsulas vegetais). Diferente de outros produtos que oferecem uma fórmula impura e com menor concentração, nossas cápsulas são vegetarianas e garantem a máxima eficácia.
A aSquared Nutrition se preocupa com a qualidade e segurança de seus produtos. Por isso, nossa fórmula é livre de enchimentos desnecessários, aglutinantes, conservantes potencialmente prejudiciais ou organismos geneticamente modificados (OGMs). Todos os nossos complexos e suplementos passam por rigorosos testes de controle de qualidade antes de serem engarrafados e vendidos. Além disso, nossa fórmula é fabricada em uma instalação certificada GMP nos Estados Unidos, garantindo a máxima qualidade.
Para obter os melhores resultados, recomendamos o uso de 2 cápsulas por dia. Você logo perceberá uma diferença em seu metabolismo, com uma melhora na supressão do apetite e redução da circunferência da cintura. Aproveite para combinar a Caralluma Fimbriata com outros produtos da aSquared Nutrition, como Canela do Ceilão (100% natural), Forskolin 500mg, Complexo de Limpeza de Candida, CoQ10 400mg, Cardo de Leite 1000mg, Garcinia Cambogia, Extrato de Café Verde, DHEA 100mg, Chá Verde e Resveratrol 1000mg.
Conheça 5 Motivos Recomendados pela Vitaminer Shop para Comprar:
- Suplemento natural de perda de peso altamente concentrado
- 180 cápsulas por frasco, oferecendo um suprimento completo para 3 meses
- Fórmula 100% pura e vegetariana, garantindo máxima eficácia
- Livre de enchimentos, aglutinantes, conservantes potencialmente prejudiciais ou OGMs
- Fabricado em uma instalação certificada GMP nos Estados Unidos
Records of crystals, as found in the file:
........
Entry 1:
This entry pairs a crystal structure of In5Hg2Cl5 with its theoretical PXRD pattern. Radiation: Cu Ka. Structure: a crystal structure in Alexandria, relaxed with GGA-PBE.
Neutral-atom scattering factors, no anomalous dispersion.

Largest 12 diffraction maxima, in order of rising 2θ, 10 to 80 degrees two-theta:
2θ/deg  d [Å]  Rel. int.  (hkl)
11.5  7.716  42  1 1 0
13.8  6.433  36  1 0 1
16.2  5.456  74  2 0 0
21.4  4.161  82  2 1 1
25.2  3.538  51  1 1 2
31.6  2.829  23  3 2 1
32.3  2.771  100  2 2 2
32.8  2.728  63  4 0 0
34.4  2.608  81  3 1 2
36.8  2.440  31  4 2 0
47.1  1.929  35  4 4 0
58.3  1.583  26  6 2 2

Atomic structure:
Cell: 10.912 10.912 7.963 Å, 90.00 90.00 90.00°
Space group I4mm (No. 107)
Unique sites:
In 0.000 0.000 0.000 x2
In 0.000 0.261 0.583 x8
Hg 0.000 0.500 0.320 x4
Cl 0.000 0.000 0.468 x2
Cl 0.179 0.179 0.819 x8


Entry 2:
This entry pairs a crystal structure of InHgCl2 with its theoretical PXRD pattern. Radiation: Cu Ka. Structure: a crystal structure in Alexandria, relaxed with GGA-PBE.
Neutral-atom scattering factors, no anomalous dispersion.

Largest 12 diffraction maxima, in order of rising 2θ, 10 to 80 degrees two-theta:
2θ/deg  d [Å]  Rel. int.  (hkl)
21.0  4.237  100  1 1 2
21.1  4.201  49  2 0 0
24.8  3.588  12  2 1 1
30.1  2.971  12  2 2 0
36.6  2.453  25  2 0 4
37.0  2.432  48  3 1 2
42.7  2.119  24  2 2 4
47.7  1.908  12  1 1 6
48.4  1.880  22  4 2 0
57.4  1.605  13  3 1 6
57.8  1.596  13  4 2 4
58.0  1.590  13  5 1 2

Atomic structure:
Cell: 8.402 8.402 12.090 Å, 90.00 90.00 90.00°
Space group I-42d (No. 122)
Unique sites:
In 0.000 0.000 0.000 x4
Hg 0.000 0.000 0.500 x4
Cl 0.007 0.750 0.125 x8


Entry 3:
This entry pairs a crystal structure of In4Hg5Cl4 with its theoretical PXRD pattern. Radiation: Cu Ka. Structure: a crystal structure in Alexandria, relaxed with GGA-PBE.
Neutral-atom scattering factors, no anomalous dispersion.

Largest 12 diffraction maxima, in order of rising 2θ, 10 to 80 degrees two-theta:
2θ/deg  d [Å]  Rel. int.  (hkl)
10.4  8.492  25  0 1 0
24.2  3.677  22  0 2 2
26.1  3.416  21  0 1 -3
27.6  3.232  78  1 2 2
29.0  3.080  33  1 1 -2
29.2  3.056  18  1 -1 2
31.0  2.881  53  -1 1 2
33.5  2.678  100  1 2 -2
34.2  2.620  18  1 -2 1
36.7  2.452  16  0 3 3
41.2  2.189  24  0 3 4
42.0  2.149  30  2 1 1

Atomic structure:
Cell: 4.298 8.822 12.120 Å, 80.59 79.82 76.05°
Space group P-1 (No. 2)
Unique sites:
In 0.116 0.138 0.131 x2
In 0.298 0.640 0.259 x2
Hg 0.000 0.000 0.500 x1
Hg 0.340 0.346 0.474 x2
Hg 0.367 0.068 0.698 x2
Cl 0.081 0.541 0.804 x2
Cl 0.332 0.801 0.032 x2


Entry 4:
This entry pairs a crystal structure of In2Hg7Cl with its theoretical PXRD pattern. Radiation: Cu Ka. Structure: a crystal structure in Alexandria, relaxed with GGA-PBE.
Neutral-atom scattering factors, no anomalous dispersion.

Largest 12 diffraction maxima, in order of rising 2θ, 10 to 80 degrees two-theta:
2θ/deg  d [Å]  Rel. int.  (hkl)
23.6  3.774  46  0 0 1
24.7  3.608  51  0 4 0
........
Back to the piece:
- Redução significativa do apetite, facilitando o controle da ingestão calórica.
- Aumento da energia e resistência, ideal para quem pratica atividades físicas.
- Melhora no metabolismo, contribuindo para a queima de gordura.
- Uso de ingredientes naturais, promovendo uma abordagem saudável para a perda de peso.
- Suprimento prolongado com 180 cápsulas, garantindo um uso contínuo e eficaz.
Para obter os melhores resultados, tome 2 cápsulas por dia. Recomendamos tomar as cápsulas com água, de preferência antes das refeições. Não exceda a dose diária recomendada. É importante manter uma dieta equilibrada e um estilo de vida ativo para potencializar os efeitos do suplemento.
Susan –
aSquared Nutrition’s Caralluma Fimbriata supplement is designed as a natural weight loss aid. Derived from the roots of the Caralluma Fimbriata plant, this supplement aims to suppress appetite, boost energy, and support lean muscle mass.
* **Appetite suppression:** Caralluma Fimbriata is believed to help reduce hunger cravings by increasing satiety and reducing ghrelin, the hormone that triggers hunger.
* **Energy boost:** The supplement contains caffeine, which can provide a temporary boost in alertness and energy levels.
* **Lean muscle support:** By reducing appetite and promoting satiety, Caralluma Fimbriata may help individuals consume fewer calories and maintain lean muscle mass.
* **Natural ingredients:** The supplement is made with 100% pure Caralluma Fimbriata extract, making it a natural and plant-based option for weight management.
**Dosage and Usage**
The recommended dosage is 2 capsules per day, taken with a meal. It’s important to follow the dosage instructions carefully and to consult with a healthcare professional before taking any supplements.
Individual results may vary based on factors such as diet, exercise, and metabolism. Some users report experiencing reduced appetite and increased energy levels within the first few weeks of use. It’s recommended to use the supplement consistently for at least 6 weeks to observe optimal results.
Caralluma Fimbriata is generally considered safe for most adults. However, it’s not recommended for pregnant or breastfeeding women, individuals with gastrointestinal issues, or those taking certain medications. It’s always advisable to consult with a healthcare professional before using any supplements.
aSquared Nutrition’s Caralluma Fimbriata is a natural weight loss supplement that may aid in appetite suppression, energy enhancement, and lean muscle support. While results may vary, the supplement can be a useful addition to a balanced weight management plan. It’s important to use the supplement as directed and to consult with a healthcare professional for personalized guidance.
C. Callosa –
These calculated crystals were left in the page by mistake.
+++
Sm5Ag2Sn4: simulated PXRD pattern (a wavelength of 1.5418 Å), based on a structure optimized by DFT (PBE).

Main lines, sorted by position (5 to 70 degrees two-theta):
- 26.45 deg, 3.370 Å, rel. 78
- 28.39 deg, 3.144 Å, rel. 40
- 28.97 deg, 3.082 Å, rel. 51
- 30.89 deg, 2.895 Å, rel. 54
- 31.37 deg, 2.851 Å, rel. 78
- 32.37 deg, 2.766 Å, rel. 77
- 34.26 deg, 2.617 Å, rel. 35
- 36.74 deg, 2.446 Å, rel. 100
- 37.17 deg, 2.419 Å, rel. 66
- 42.32 deg, 2.136 Å, rel. 90

```
11
Lattice="12.353 -1.701 0.000 12.353 1.701 0.000 -0.234 0.000 7.680" Properties=species:S:1:pos:R:3 pbc="T T T"
Sm 0.000 0.000 0.000
Sm 7.965 0.000 3.872
Sm 8.710 0.000 0.008
Sm 15.760 0.000 7.672
Sm 16.505 0.000 3.808
Ag 10.735 0.000 5.342
Ag 13.735 0.000 2.338
Sn 5.699 0.000 6.069
Sn 10.847 0.000 2.437
Sn 13.624 0.000 5.243
Sn 18.772 0.000 1.611
```

TbSm2Ag2Sn2: simulated PXRD pattern (a wavelength of 1.5418 Å), based on a structure optimized by DFT (PBE).

Main lines, sorted by position (5 to 70 degrees two-theta):
- 21.38 deg, 4.155 Å, rel. 6
- 31.83 deg, 2.811 Å, rel. 100
- 34.50 deg, 2.600 Å, rel. 18
- 37.01 deg, 2.429 Å, rel. 84
- 49.60 deg, 1.838 Å, rel. 29
- 53.14 deg, 1.723 Å, rel. 11
- 63.46 deg, 1.466 Å, rel. 27
- 65.09 deg, 1.433 Å, rel. 6
- 65.40 deg, 1.427 Å, rel. 11
- 66.69 deg, 1.403 Å, rel. 15

```
7
Lattice="2.429 1.403 8.816 -2.429 1.403 8.816 0.000 -2.805 8.816" Properties=species:S:1:pos:R:3 pbc="T T T"
Tb 0.000 0.000 0.000
Sm 0.000 0.000 3.536
Sm 0.000 0.000 22.912
Ag 0.000 0.000 11.267
Ag 0.000 0.000 15.181
Sn 0.000 0.000 7.077
Sn 0.000 0.000 19.371
```

SrSm2Ag6: simulated PXRD pattern (a wavelength of 1.5418 Å), based on a structure optimized by DFT (PBE).

Main lines, sorted by position (5 to 70 degrees two-theta):
- 12.25 deg, 7.227 Å, rel. 4
- 24.45 deg, 3.640 Å, rel. 6
- 32.65 deg, 2.743 Å, rel. 100
- 37.33 deg, 2.409 Å, rel. 74
- 45.13 deg, 2.009 Å, rel. 6
- 50.12 deg, 1.820 Å, rel. 10
- 50.42 deg, 1.810 Å, rel. 29
- 64.13 deg, 1.452 Å, rel. 29
- 64.38 deg, 1.447 Å, rel. 27
- 67.32 deg, 1.391 Å, rel. 12

```
9
Lattice="8.345 0.000 0.000 -4.173 7.227 0.000 0.000 0.000 3.640" Properties=species:S:1:pos:R:3 pbc="T T T"
Sr 0.000 0.000 0.000
Sm 0.000 4.818 0.000
Sm 4.173 2.409 0.000
Ag -1.402 2.428 1.820
Ag -2.771 4.799 1.820
Ag 2.803 0.000 1.820
Ag 1.402 2.428 1.820
Ag 5.542 0.000 1.820
Ag 2.771 4.799 1.820
```

Tb2SmAg2: simulated PXRD pattern (a wavelength of 1.5418 Å), based on a structure optimized by DFT (PBE).

Main lines, sorted by position (5 to 70 degrees two-theta):
- 26.60 deg, 3.351 Å, rel. 29
- 28.79 deg, 3.101 Å, rel. 100
- 30.35 deg, 2.945 Å, rel. 66
- 30.58 deg, 2.924 Å, rel. 43
- 31.00 deg, 2.885 Å, rel. 31
- 34.17 deg, 2.624 Å, rel. 37
- 34.38 deg, 2.608 Å, rel. 21
- 36.50 deg, 2.462 Å, rel. 66
- 39.94 deg, 2.258 Å, rel. 26
- 50.86 deg, 1.795 Å, rel. 24

```
10
Lattice="5.271 0.000 0.000 0.000 4.924 0.000 -1.042 0.000 11.023" Properties=species:S:1:pos:R:3 pbc="T T T"
Tb 0.723 1.231 1.239
Tb 0.791 3.693 5.584
Tb 3.438 1.231 5.439
+++
Here the page continues.
Caralluma Fimbriata is probably the best thing you can purchase if you want an appetite suppressant without any other effects (such as metabolism enhancement).
I’ve had issues over the years with stress eating, so I wanted something that could reduce appetite without any other huge physiological effects. I’m glad to report that these have fit the bill perfectly. Contrary to the labeling, there seems to be little impact from using more than the recommended dosage; I’ve found that taking them “as needed” fits my desired impact perfectly and without any unusual effects. (YMMV of course — do your own research first.) For me, 6-8 throughout the course of the day helps keep everything in check, and all the benefits of simply eating less come with it.
The 1200mg dosage is indeed “maximum strength”, at least from what’s normally available on Amazon. The bottle is literally filled to the brim with product as well. They should probably move to a larger-sized bottle for this quantity, so they can add dessicant or whatever, but I haven’t noticed any problems resulting from that, it was just surprising.
Anyway — excellent product. There are other ways to suppress your appetite with fat-burners and the like, but if you want to target JUST your appetite, definitely give these a try!
A Customer –
I have never tried an appetite suppressant, and I was very skeptical whether this natural product would work. I have only been taking it for three days, but I am so impressed by the difference it makes. I binge eat due to stress and have gained 40 lb in the last year because of that. I knew I wasn’t overeating because I was hungry; rather, I was eating for psychological reasons because of a ton stress. I wasn’t sure this product would help in my situation. It does. My binge eating only occurred after about 2 pm and then into the night. I never overeat before 2 pm, so I decided to take the CF at noon every day. What a difference! I was not even tempted to binge eat. I ate a normal dinner and that was it. No bags of cookies, crackers, cheese, candy, ice cream, etc. I had no desire to eat anything other than a modest dinner. This is fantastic! Some people in reviews complain about the size of the capsules, but they seem pretty normal to me. No aftertaste. No problem. I have lost 4 lb. in these first 3 days. I know there can be a honeymoon period on any new thing, so it will be interesting to see if the CF continues to work for me. All I can say is I am totally pleased and I am looking forward to losing the 40 pounds I gained.
Kim –
I have been taking these supplements pretty much twice daily. Some days I only take one. Usually, make sure it is after I have eaten something. Have not experienced any issues and it does not upset my stomach. Turning 50 this year, I am 20 lbs heavier than I would like to be. I can almost just look at food and put on weight. The gym doesn’t interest me and I never really had to exercise before.
Figured I had nothing to lose by trying this product. It’s been 3 weeks now and I have lost 10 lbs. Watch what I eat a bit better and have cut down a tad on my portions. Still not exercising. So I am happy with the results. I’d rather lose the weight slowly and have it stay off. Will add to my review in a few weeks.
Recommend for anyone wanting to lose a small amount. Results should be better with regular exercise.